President’s Note – 27 August 2019

As the incoming president of the Finger Lakes Guild of the Catholic Medical Association, I wanted to take a moment to briefly introduce myself and share some thoughts about where I hope to lead the Guild during my term.  By way of introduction, I am a practicing general internist and palliative care specialist, caring for patients in multiple setting including the office, hospital, and at home.  I also have the honor of directing a first-year medical school course at the U of R and am the director of our new Advanced Communication Training (ACT) Program.  More importantly, I am a husband, father of four…and most importantly…a disciple of Jesus Christ and a member of His Holy Catholic Church.

We live in challenging times where it seems that technology, and indeed society, are changing at a pace unprecedented in human history.  Whether this is strictly true, there is no doubt that our modern world presents formidable challenges for healthcare professionals trying to live devoutly Catholic lives. 

The overarching goal of the Guild is to assist healthcare professionals in upholding the principles of the Catholic Church in the practice of medicine and pursuit of science.  With the leadership of my predecessors, the protection of our Blessed Mother, and the guidance of the Holy Spirit, the Guild has worked effectively toward that goal with educational offerings, lobbying efforts, and community building.  I hope to build on these wonderful accomplishments and make the Guild an ever more effective force of bringing Christ’s light to the world. 

I see two primary areas of focus for our efforts: the big issues and building community.  The big issues include, though are certainly not limited to abortion, physician-assisted suicide/euthanasia, surrogacy, transgender ideology, and freedom of conscience (particularly in the healthcare professions).  With the Catholic principle of subsidiarity in mind, my hope is to position the Guild as a local leader in promoting a culture of life in light of Catholic teaching.  We will address these big issues though speaking events, journal clubs, lobbying of local and state legislators, and regional meetings in collaboration with our fellow New York Guilds of the Catholic Medical Association. 

Actively engaging our community on the big issues is certainly necessary, though unlikely to be effective without also building community.  I can testify from personal experience that as a practicing Catholic in the modern medical world it is very easy to become isolated.  The Guild is well-positioned to offer a forum for Catholics to find, and offer, support in what is often a daily struggle to stay true to the Church’s teachings in their professional lives.  To this end we will continue Catholics @ URMC meetings, collaborate with the Newman Community at the U of R, establish a mentorship program, organize speaking events and quarterly journal clubs, among other opportunities, all in hopes of sustaining a robust community of Catholic healthcare professionals and interested members of the public. 

St. Paul tells us that “Where sin increased, grace abounded all the more,” (Romans 5:12-21).  In our modern world that seems to have come unmoored from its traditional anchors, I fully expect that the Holy Spirit, though the intersession of the Blessed Virgin Mary, is providing graces more than sufficient for our needs, we need only ask.  So please join me in praying for the success of the Finger Lakes Guild in the coming years! 

I would like to make special note of our growing collaboration with St. Bernard’s School of Theology and Ministry.  They have been extremely welcoming and supportive…and the FLG is excited to now have a physical home at St. Bernard’s!  We look forward to a long and fruitful collaboration!

I would also like to especially thank The Most Rev. Salvatore R. Matano for his support of the Finger Lakes Guild.  We are blessed to have such a wonderfully devoted shepherd for our diocese, and I look forward to continuing to work with him during my time as President.

If you would like more information about the Guild, or to become a member, please see our membership, sponsorship, and upcoming events pages.  I hope to see you at our next event!

In closing, please join me in asking for the intersession of our Blessed Mother, Health of the Sick, and Comfort of the Afflicted…Pray for Us!

In Christ,

Thomas Carroll, MD, PhD

President, Finger Lakes Guild

President’s Note

Being the first day of a new year, it is natural to reflect on the events of the past year and consider what the upcoming year may bring. The Guild certainly had an active 2017! We sponsored two evening presentations at St Bernard’s, discussing Medical Missions in May and a Catholic perspective on Physician Assisted Suicide in September. Both events were well attended and most successful. We cosponsored Peter Colosi’s talk on Euthanasia in August as well.  Our annual summer Soiree was a most pleasant evening marked by beautiful weather and gracious company. I especially enjoyed being able to introduce our Guild to Physicians, Nurses and Healthcare workers who were not previously aware of our presence in the community.

As you may know, the Guild is a Chartered member of the Catholic Medical Association. The CMA is a national organization that attends to a myriad of concerns on a wider scale than any local Guild could possibly achieve. The CMA sponsors a Mid Year Forum that is focused on building stronger Guilds. I was able to attend this meeting for a second year in a row, and continue to find it a valuable investment of time. The main event of the CMA is their annual meeting, this year held in Denver. The theme was “Medicine at the Service of Marriage and the Family”. The topics addressed were wide ranging, from the Truth of the Human Person to avoiding Burnout to NFP to Bioethics to the Cultivation of a Healthy Society, among scores of other presentations. Fellow Board members Jean Parker and Angela Maupin were able to attend as well and we were able to network with many other Guild and CMA members from thoughout New York State. A highlight during the conference was the announcement that the New York Appellate Court unanimously rejected the argument that PAS is a constitutional right.

Our Guild is always looking to grow in membership and increase it’s visibility in our area.  Our intent is to make our evening programs of interest to our Catholic community, as well as the community at large. We reach out to our Medical Students and Residents, as well as other health care students, to inform them of our presence and serve as a resource to them on their personal and professional journeys. We hope to sponsor a Physician in training to attend the CMA’s Boot Camp this upcoming summer. We have sponsored tables at the Rochester Men’s and Women’s Conferences to introduce ourselves to those audiences.

Our Board is active and committed in the pursuit of making the Guild relevant to our community. I am sorry to say that our Vice President, Ellen Dailor, M.D.. will be leaving the Rochester area for a new position in Florida. We will miss her greatly. I am thrilled, however, to welcome four new members to our Board in the near future. Drs. Angela Maupin, Thomas Carroll and Bryan Stanistreet and Sue Moncynski, RN will bring a healthy, young energy to the Board, which we will all appreciate.

Looking ahead to 2018, I am excited to announce that the Finger Lakes Guild, together with the Buffalo and Syracuse Guilds, will be sponsoring a day long conference entitled “Catholic Perspectives on Modern Day Health Care” this May 5, 2018. We have an outstanding schedule of speakers, including Wesley Smith J.D., Anne Nolte, M.D., Father Robert McTeigue, S.J., PhD., and Thomas Carroll, M.D. The event will take place at the RIT Inn and Conference Center and will include celebration of the White Mass. Please be sure to mark this on your calendar today and look for further information on our Website in the upcoming months.

It has been a privilege to be involved with the Finger Lakes Guild and I look forward to working with you as we undertake new endeavors this upcoming year. For your part, I would ask you to stay involved. Join the Guild (see our website to access the 2018 membership form). Come to our events. Talk to a colleague or student about us. Invite them to join the Guild and attend one of our events with you. And by all means, join us in prayer that the Guild will continue to grow and be successful in all it’s endeavors!

An evening of sharing and reflection on medical missions

Thursday, 25 May 2017
7-8:30 PM
St. Bernard’s School of Theology
120 French Rd, Rochester, NY 14618

Speaker Panel:
Father Robert Ring, Chaplain, Finger Lakes Guild
Ellen Dailor, MD, Vice President, Finger Lakes Guild
Richard Seeger, MD, President, Finger Lakes Guild

Students and residents are especially welcome!

Refreshments and reception will follow the talk.
This event is free of charge.

Medical Mission Trip

We read in the New Testament that the harvest is great, but the laborers are few. This certainly applies to the medical needs of the Third World. While many countries have some highly trained medical personnel and medical facilities, their distribution remains limited and the needs of the poor are frequently inadequately addressed. Thanks to the generosity of many medical personnel in the First World, medical and surgical missions abroad seek to help those most in need, trying to fill in some of the gaps in local health care delivery.

This last month, I was able to volunteer with the Society of Philippine Surgeons in America on their annual mission trip to their home country. My son, Kevin, age 18, was in attendance as well as a volunteer. Our experience was profound and deeply moving. The presence of a deep and prevailing poverty in the beautiful country of the Philippines was in regular evidence. Fortunately, with the support of Bausch and Lomb, we were able to bring medical and surgical supplies of over US$10,000 to be used for the benefit of the most poor. Working with the fine Ophthalmology Residents of Velez Hospital, in the city of Cebu, we performed some 25-cataract operations and left supplies sufficient for another 25 operations after our departure.

Someone pasted calculated crystals at this point.
=====
The following is a GGA+U calculation of an optimized crystal structure of MgMn2O4, from the Materials Project.

abc: 5.4316 5.9569 6.0043
angles: 60.27 74.03 89.92
Last column: nearest neighbours and their distance in Å.
Atoms (fractional coordinates):
Mg (0.0000, 0.2501, 0.9999)  6 O 2.11-2.12
Mg (0.0000, 0.7499, 0.0001)  6 O 2.11-2.12
Mn (0.0001, 0.2493, 0.5001)  6 O 1.94-1.96
Mn (0.9999, 0.7507, 0.4999)  6 O 1.94-1.96
Mn (0.5000, 0.0000, 0.5000)  6 O 2.22-2.24
Mn (0.5000, 0.5000, 0.5000)  6 O 2.22-2.23
O (0.1991, 0.1053, 0.2888)  2 Mn 1.96, 1 Mg 2.11
O (0.1998, 0.6043, 0.2908)  2 Mn 1.96, 1 Mg 2.12
O (0.2134, 0.1321, 0.7355)  1 Mn 1.94, 2 Mg 2.11
O (0.2134, 0.6319, 0.7355)  1 Mn 1.94, 2 Mg 2.11
O (0.7866, 0.3681, 0.2645)  1 Mn 1.94, 2 Mg 2.11
O (0.7866, 0.8679, 0.2645)  1 Mn 1.94, 2 Mg 2.11
O (0.8002, 0.3957, 0.7092)  2 Mn 1.96, 1 Mg 2.12
O (0.8009, 0.8947, 0.7112)  2 Mn 1.96, 1 Mg 2.11

Computed properties:
Total moment   2.999 μB per formula unit
ΔE to the lowest computed polymorph   0.072 eV per atom
Calculated formation energy   -2.2698 eV per atom
Space group   P-1 (2)
VASP energy   -7.0744 eV per atom
=====

I have included pictures taken on our mission trip, to help you visualize the experience. Perhaps you have an inclination to serve on a medical mission trip, or already have served on one? The Finger Lakes Guild welcomes any pictures or experiences you may wish to share. In either case, we hope that you may be able to join us on May 25th at St Bernard’s School of Theology, 120 French Road, Rochester, 14618, at 7 pm for an evening of reflection and sharing on our own medical mission, both here and abroad. Ellen Dailor, M.D. and I will be presenting some our own experiences with foreign medical mission work.

We hope to see you on May 25th. Please feel free to bring friends and colleagues for this evening of sharing. Our Faith is constantly calling us to care for our fellow man in need!

Richard Seeger, M.D.
President, Finger Lakes Guild